Well done, Mary! It is high time that this info gets into the hands of the public.
by Mary 24 Replies latest jw friends
Granny Linda
Atta girl, Mary. :)
Truthseeker1: I really enjoyed your comments, too. I'm 3rd generation, making it a total of 5th generation. That is so sickening to me. I'm in agreement that it does not show much courage to go door-to-door. Speaking only from personal experience, when I dared go through the door(s) of fear, then I began making progress. For the first time in my life there was a sense of hope. With that came some strength and it was my personal affirmation that things could, and would, be different.
JW's lack any a sense for who they are. Everything is gauged according to the dictates of men...how does that really work when we're told to seek spiritual things. Definitely grounds for creating neurosis in the individual who doesn't accept self-responsibility. At least that's how I see it most days.
Although I can spout off about JW's, I've found similiar patterns of behavior in any group I'd ever spent time with. From the 12-Step program (which personally I give great credit to) too the religious/spiritual and political crowds. Hell, even at the local community center my husband and I volunteer for; one cannot escape the political angle.
Guess that topic should wait until another time. I'd enjoy reading what other's might think re; just how the political agenda of the FED might be one of the most pressing issues that confront any of us. That even religion bows down to that force; as witnessed by the 501(c) tax exempt status.
Enough ramblings from me.
You're flyer is a super idea! I copied the text to my MS Word program. A few words had the red underline because of being misspelled. I hope it's OK-- I fixed it for you!
If anybody wants one, I can e-mail the revised text as an attachment in MS Word format--ready for PRINTING! It comes out as exactly two pages of text (front and back) Of course if you like the font smaller, it may fit into one page.
Thanks Mary!
I'm going to KinKos tomorrow morning and then I'm off "Street Witnessing" all day. That should bring back so many memories...
P.S. I have a couple of questions, Mary coud you e-mail me?
Edited by - YoursChelbie on 1 August 2002 23:49:1
(Data records, as found in the file)
┌──
Entry from Materials Project: a geometry-optimized Li2SiNiO4 structure (GGA+U).

Results
* energy of formation: -2.39 eV/atom
* density: 3.3 g/cm³
* total energy after the MP2020 corrections: -0.496 Ry/atom

Geometry as extended XYZ:
```
48
Lattice="-1.170 1.331 -4.694 -3.602 7.330 2.975 12.490 1.044 -0.129" Properties=species:S:1:pos:R:3 pbc="T T T"
O 7.113 4.076 0.475
O 5.143 6.147 1.889
O 6.359 3.146 -1.946
O 10.393 3.296 -4.305
O 3.301 2.763 -1.180
O 2.377 2.034 -4.149
O 1.162 5.034 -0.316
O 6.364 6.803 -1.843
O -2.679 6.519 2.570
O 0.468 1.550 -1.662
O -1.917 5.881 -2.520
O 3.095 4.477 -3.363
O -1.463 3.519 -1.267
O 1.877 7.478 0.470
O -0.748 6.964 0.062
O 8.770 4.912 -2.796
O 8.749 2.473 -0.983
O 6.536 1.472 0.215
O 4.728 8.407 -0.385
O 1.638 2.633 0.921
O 0.915 7.094 -2.040
O 4.150 5.804 -0.645
O 7.553 7.910 1.039
O 9.179 6.295 -0.469
Si -2.610 4.618 -1.705
Si 0.786 6.647 -0.459
Si -0.224 0.287 -0.845
Si 3.173 2.316 0.401
Si 4.798 7.117 -1.407
Si 7.183 2.786 -0.547
Li 7.784 7.747 -0.936
Li 5.241 4.603 0.519
Li -0.626 2.622 -2.889
Li -0.063 5.741 -3.041
Li 6.459 1.603 -3.316
Li 6.859 5.005 -2.448
Li 2.324 1.409 -2.180
Li 2.762 4.709 -1.449
Li 1.544 7.707 2.385
Li 5.645 8.006 1.387
Li -1.842 5.621 0.948
Li 10.170 3.418 -0.077
Ni 4.495 3.148 -2.707
Ni 0.331 3.212 -0.491
Ni 7.726 5.916 0.869
Ni 3.281 6.153 1.129
Ni 8.942 2.917 -2.963
Ni -2.058 7.542 -1.345
```

=====

Entry from Materials Project: a geometry-optimized Li2Si2NiO6 structure (GGA+U).

Results
* energy of formation: -2.62 eV/atom
* density: 2.9 g/cm³
* total energy after the MP2020 corrections: -0.528 Ry/atom

Geometry as extended XYZ:
```
44
Lattice="-4.868 1.464 2.277 -0.842 -6.260 8.840 3.050 9.264 1.764" Properties=species:S:1:pos:R:3 pbc="T T T"
Li -2.552 3.298 5.986
Li -4.068 -2.729 7.151
Li -3.503 4.653 4.011
Li 1.407 7.196 5.728
Li 0.455 8.553 3.755
Li 0.842 -0.185 8.869
Li -0.108 1.172 6.895
Li -3.117 -4.084 9.127
O -1.292 1.446 1.843
O -1.369 3.022 11.038
O -2.143 2.405 7.706
O -0.908 5.364 2.020
O -2.642 -0.314 4.036
O -1.142 4.494 4.459
O 0.543 6.548 3.945
O -3.307 0.282 6.569
O -3.415 2.649 4.198
O -0.233 -0.869 2.439
O -3.978 0.882 9.101
O 0.000 0.000 0.000
O -0.516 2.063 5.174
O -2.200 6.809 3.862
O -1.518 -0.027 8.422
O -1.427 7.427 7.193
O -2.426 5.337 10.442
O 0.652 4.181 6.312
O 1.318 3.587 3.780
O -0.019 4.781 8.844
O -1.235 -2.960 5.686
O -3.204 -2.081 8.938
O 0.755 1.819 8.680
O -0.460 -2.341 9.017
Si -0.897 5.884 3.563
Si -3.816 -0.374 5.168
Si 1.156 4.840 7.712
Si -1.763 -1.417 9.318
Si 0.012 0.521 1.543
Si -2.672 3.948 11.338
Si 0.143 3.526 4.912
Si -2.802 0.941 7.969
Ni -0.841 2.964 9.113
Ni 0.067 -2.401 7.091
Ni -2.729 6.871 5.785
Ni -1.818 1.504 3.768
```

=====

VASP energy values, unit eV/atom, following the record order: -6.0811 -6.5717.

----------

No. 1
{
  "formula": "LaAl2",
  "functional": "PBE-GGA",
  "state": "optimized geometry",
  "crystal_system": "cubic",
  "space_group": "Fd-3m, No. 227",
└──
im printing one out and putting it on my dorm door!
also, on spet 27th, i will be near the local KH handing them out to anyone that comes by. -
And please, everyone, don't forget to tell us about the experiences in your special field services. OK ?
((((((((((((((((((((((((((((Mary, Great!!)))))))))))))))))))))))))